I’m not doing well. I am beyond upset. I feel so crushed and stupid and so incredibly sad right now. Someone very close to me is probably gone now. I don’t even know what I can do or how to help myself because I’m so sleep deprived and then this shit happens. Twin if you are still here please talk to me. I said you can trust me and I don’t lie. Every word was true. Now I just feel like an idiot.
I can talk winter
I am so sad. Apparently a lot of shit went down today, here. We may have lost a few people. I m crushed.
Yea me too I feel like should be pne of them how are you holding up. And they might make it threw? We never know .
It was just the other night we were killing my husband with vegetables lol and in such a netter head space
Idk. I am going to be honest. I’m worried sick about sportsnut. We were texting today and he said tonight is the night. I haven’t heard from him since. That’s why I’m so upset.
Me to i have been emailing him for the last few hours no reply
He emailed me also and said tonight might be the night.
Have you heard from him since
I might have been able to talk him out of it but I was too messed up when he told me …foolish
It looks like he sent the email around 5:30 this afternoon, but I didn’t log on until about three hours after that. So I didn’t get to see it the moment he sent it.
I hope he is ok
It’s unusual for him to be gone.
Usually he’s here this time of night, flirting with about four women at the same time.
Without him it’s strangely quiet.
Yea ir is sad with out him
Also no reply.
Winter talk to me , lets talk threw this
I’m here.
Tell me what your thinking
Winter please dont go silent on me
Today was A bad day
Yes, it was.
I’m just sad. Horribly sleep deprived so I m not even making sense to myself. I don’t know anything anymore. But hopefully after I actually sleep (running on 3 hrs of sleep since I woke up yesterday) my mind will function better. Double shifts mess me up.
Why dont you try and get some sleep
Hello, I am a poor conversationalist.
Me too!
Crystal structures, as found in the file
********
Entry 1:
HfAs3Ir: PBEsol geometry, SCAN.

Lattice parameters (Å, degrees): 4.7488 4.7488 4.7488 90.00 90.00 90.00
Atoms (fractional coordinates):
1 Hf 0.0000 0.0000 0.0000
2 As 0.0000 0.5000 0.5000
3 As 0.5000 0.0000 0.5000
4 As 0.5000 0.5000 0.0000
5 Ir 0.5000 0.5000 0.5000

Output
Formation energy from the elements ... 0.6452 eV/atom
Total magnetization ... 0.00 μB per atom
Fermi-level density of states ... 5.72 states/eV/cell
SG ... Pm-3m
E ... -38.224 eV per atom

---

Entry 2:
NaHfAsIr2: PBEsol geometry, SCAN.

Lattice parameters (Å, degrees): 4.6025 4.6025 4.8652 90.00 90.00 90.00
Atoms (fractional coordinates):
1 Na 0.0000 0.0000 0.0000
2 Hf 0.5000 0.5000 0.0000
3 As 0.5000 0.5000 0.5000
4 Ir 0.0000 0.5000 0.5000
5 Ir 0.5000 0.0000 0.5000

Output
Formation energy from the elements ... 0.6034 eV/atom
Total magnetization ... 0.00 μB per atom
Fermi-level density of states ... 5.15 states/eV/cell
SG ... P4/mmm
E ... -45.252 eV per atom

---

Entry 3:
KHfAs2Rh: PBEsol geometry, SCAN.

Lattice parameters (Å, degrees): 5.0601 5.0601 4.3792 90.00 90.00 90.00
Atoms (fractional coordinates):
1 K 0.0000 0.0000 0.0000
2 Hf 0.5000 0.5000 0.5000
3 As 0.0000 0.5000 0.0000
4 As 0.5000 0.0000 0.0000
5 Rh 0.0000 0.0000 0.5000

Output
Formation energy from the elements ... 1.7403 eV/atom
Total magnetization ... 0.00 μB per atom
Fermi-level density of states ... 3.89 states/eV/cell
SG ... P4/mmm
E ... -27.291 eV per atom

---

Entry 4:
KHfAs2Se: PBEsol geometry, SCAN.

Lattice parameters (Å, degrees): 5.1538 5.1538 5.1809 90.00 90.00 90.00
Atoms (fractional coordinates):
1 K 0.0000 0.0000 0.0000
2 Hf 0.5000 0.5000 0.5000
3 As 0.0000 0.5000 0.5000
4 As 0.5000 0.0000 0.5000
5 Se 0.5000 0.5000 0.0000

Output
ΔE_f (raw) ... -551 meV/atom
Total magnetization ... 0.00 μB per atom
Fermi-level density of states ... 4.40 states/eV/cell
SG ... P4/mmm
E ... -26.843 eV per atom

---

Number 3 is which compound? KHfAs2Rh

---

What did the second record say?
NaHfAsIr2: PBEsol geometry, SCAN.

Lattice parameters (Å, degrees): 4.6025 4.6025 4.8652 90.00 90.00 90.00
Atoms (fractional coordinates):
1 Na 0.0000 0.0000 0.0000
2 Hf 0.5000 0.5000 0.0000
3 As 0.5000 0.5000 0.5000
4 Ir 0.0000 0.5000 0.5000
5 Ir 0.5000 0.0000 0.5000

Output
Formation energy from the elements ... 0.6034 eV/atom
Total magnetization ... 0.00 μB per atom
Fermi-level density of states ... 5.15 states/eV/cell
SG ... P4/mmm
E ... -45.252 eV per atom

~~~~~

[1]
Here is MgWCl after structural relaxation from the Alexandria database. Energies are from PBE.

Cell lengths 4.8238, 4.8238, 4.8238 Å; angles 60.00, 60.00, 60.00 degrees
With the nearest neighbours (Å) after each atom.
Fractional positions:
Cl  0.0000  0.0000  0.0000  4 W 2.95
Mg  0.5000  0.5000  0.5000  4 W 2.95
W  0.7500  0.7500  0.7500  4 Cl 2.95, 4 Mg 2.95

Offset from the most stable computed form ... 1247.1 meV per atom
Density of states at the Fermi level ... 0.3 states/eV/f.u.
Calculated total energy ... -4.024 eV/atom
********
End of the crystal structures
It would be fun to make up badges that said that.
Instead of “HELLO, MY NAME IS….”
It could say
“Hello, I am a poor conversationalist.”
Hello! I’m
What are you hiding from?
I’m going to try to sleep. Thank you for keeping me company tonight.
Sweet dreams winter hopefully things will.better in the morning
Hello, I’m sorry, I didn’t realize this until after I made my post. I hope he doesn’t go through with it 🙁
It seems highly strange that he would pick tonight.
Just last night he was flirting like mad with people.
And it looked like he and Ylem had decided to be a couple, or something like that.
So I expected he’d be a giggly giddy lovesick mess today; not a suicidal mess.
I wonder what happened.
Next to the text, the page also holds crystal structures =
/*
# KPuCoF6, optimized geometry, DFT PBE with a Hubbard U
# theoretical density = 4.53 Mg/m³
# DFT total energy = -6.44 eV/atom
data_KPuCoF6
_cell_length_a 5.913
_cell_length_b 10.208
_cell_length_c 5.535
_cell_angle_alpha 90.00
_cell_angle_beta 90.11
_cell_angle_gamma 90.00
_symmetry_space_group_name_H-M 'C 1 2 1'
_symmetry_Int_Tables_number 5
_symmetry_space_group_name_Hall 'C 2y'
loop_
_atom_site_label
_atom_site_type_symbol
_atom_site_fract_x
_atom_site_fract_y
_atom_site_fract_z
K1 K 0.000 0.000 0.000
Pu1 Pu 0.000 0.333 0.500
Co1 Co 0.000 0.667 0.500
F1 F 0.135 0.514 0.702
F2 F 0.163 0.810 0.703
F3 F 0.205 0.177 0.704

# KRbCoF6, optimized geometry, DFT PBE with a Hubbard U
# theoretical density = 3.22 Mg/m³
# DFT total energy = -4.23 eV/atom
data_KRbCoF6
_cell_length_a 6.5017
_cell_length_b 6.5017
_cell_length_c 8.3787
_cell_angle_alpha 90.00
_cell_angle_beta 90.00
_cell_angle_gamma 120.00
_symmetry_space_group_name_H-M 'P -3 1 c'
_symmetry_Int_Tables_number 163
_symmetry_space_group_name_Hall '-P 3 2c'
loop_
_atom_site_label
_atom_site_type_symbol
_atom_site_fract_x
_atom_site_fract_y
_atom_site_fract_z
K1 K 0.0000 0.0000 0.0000
Rb1 Rb 0.3333 0.6667 0.2500
Co1 Co 0.3333 0.6667 0.7500
F1 F 0.1104 0.4325 0.6257

# K2RbCoF8, optimized geometry, DFT PBE with a Hubbard U
# theoretical density = 3.06 Mg/m³
# DFT total energy = -4.10 eV/atom
data_K2RbCoF8
_cell_length_a 4.920
_cell_length_b 5.564
_cell_length_c 7.694
_cell_angle_alpha 89.80
_cell_angle_beta 74.69
_cell_angle_gamma 89.59
_symmetry_space_group_name_H-M 'P -1'
_symmetry_Int_Tables_number 2
_symmetry_space_group_name_Hall '-P 1'
loop_
_atom_site_label
_atom_site_type_symbol
_atom_site_fract_x
_atom_site_fract_y
_atom_site_fract_z
K1 K 0.121 0.001 0.202
Rb1 Rb 0.500 0.500 0.500
Co1 Co 0.500 0.500 0.000
F1 F 0.204 0.500 0.202
F2 F 0.296 0.002 0.502
F3 F 0.339 0.733 0.895
F4 F 0.340 0.269 0.895

# K3Rb4CoF8, optimized geometry, DFT PBE with a Hubbard U
# theoretical density = 3.38 Mg/m³
# DFT total energy = -4.11 eV/atom
data_K3Rb4CoF8
_cell_length_a 13.564
_cell_length_b 7.608
_cell_length_c 7.670
_cell_angle_alpha 90.00
_cell_angle_beta 123.69
_cell_angle_gamma 90.00
_symmetry_space_group_name_H-M 'C 1 2/m 1'
_symmetry_Int_Tables_number 12
_symmetry_space_group_name_Hall '-C 2y'
loop_
_atom_site_label
_atom_site_type_symbol
_atom_site_fract_x
_atom_site_fract_y
_atom_site_fract_z
K1 K 0.000 0.000 0.000
K2 K 0.250 0.250 0.500
Rb1 Rb 0.000 0.000 0.500
Rb2 Rb 0.000 0.500 0.500
Rb3 Rb 0.250 0.250 0.000
Co1 Co 0.000 0.500 0.000
F1 F 0.004 0.279 0.216
F2 F 0.235 0.000 0.724
F3 F 0.246 0.000 0.256

# KRb3Co2F8, optimized geometry, DFT PBE with a Hubbard U
# theoretical density = 3.24 Mg/m³
# DFT total energy = -4.54 eV/atom
data_KRb3Co2F8
_cell_length_a 6.4177
_cell_length_b 6.4177
_cell_length_c 8.1224
_cell_angle_alpha 90.00
_cell_angle_beta 90.00
_cell_angle_gamma 120.00
_symmetry_space_group_name_H-M 'P -3 m 1'
_symmetry_Int_Tables_number 164
_symmetry_space_group_name_Hall '-P 3 2"'
*/
The crystal structures stop here =
Come to think of it…. has Ylem posted today?
They were talking about it neing there last night togther or some thing along the lines of Romeo and juilet
I guess all we can do is wait.
Honestly it would surprise me if he really was gone.
We talk about suicide a lot here, but the truth is that it’s really a difficult thing to accomplish. The body fights to stay alive, and failed attempts are very common.
Somehow I expect he will show up in another day or so.
I’m not going to worry quite yet.
If three days go by and he’s still missing, then I will worry.
Like I am currently worried sick about ToTrees, who hasn’t posted in over a week.
It looks like Ylem’s last post was two days ago, and it’s all about wanting to die violently:
Yea to tree s has been gone for awhile
I think they planned something together.
Maybe… it’s hard to tell.
If you read through the comments here:
It’s a bit sickeningly sweet and overly poetic at times, but still he mentions “juliet”, and talks about he wants to be the one to “go first” this time (a reference to Kaylee passing a few weeks ago).
So, yeah… hard to tell.
Either they’re swooning together privately, or, like you said, they planned something.
at the end it says ‘drift off evermore’ i wonder if that’s a ref to drifting away and dying? Idk
Ah crud, I do hope the nut will pop back up.. Oh man, I missed everything, I was at work… urgh…
Was work frustrating as usual?
Good night
Data records from another source follow.
~~~
CsLaSi3 | PBE-GGA | relaxed

SG   Pm-3m (221)
ΔE to the lowest computed polymorph   725 meV per atom
Magnetization   0.00 μB/f.u.
Uncorrected formation energy   7.6 eV per formula unit
Final energy   -2.897 eV per atom

```
CsLaSi3
1.0
5.3811 0.0000 0.0000
0.0000 5.3811 0.0000
0.0000 0.0000 5.3811
Cs La Si
1 1 3
Direct
0.0000 0.0000 0.0000
0.5000 0.5000 0.5000
0.0000 0.0000 0.5000
0.0000 0.5000 0.0000
0.5000 0.0000 0.0000
```

CsLaSi2 | PBE-GGA | relaxed

SG   Fm-3m (225)
ΔE to the lowest computed polymorph   31 meV per atom
Magnetization   0.00 μB/f.u.
Uncorrected formation energy   1.7 eV per formula unit
Final energy   -3.741 eV per atom

```
CsLaSi2
1.0
7.8128 0.0000 0.0000
0.0000 7.8128 0.0000
0.0000 0.0000 7.8128
Cs La Si
4 4 8
Direct
0.0000 0.0000 0.0000
0.0000 0.5000 0.5000
0.5000 0.0000 0.5000
0.5000 0.5000 0.0000
0.0000 0.0000 0.5000
0.0000 0.5000 0.0000
0.5000 0.0000 0.0000
0.5000 0.5000 0.5000
0.2500 0.2500 0.2500
0.2500 0.2500 0.7500
0.2500 0.7500 0.2500
0.2500 0.7500 0.7500
0.7500 0.2500 0.2500
0.7500 0.2500 0.7500
0.7500 0.7500 0.2500
0.7500 0.7500 0.7500
```

CsLaSi2 | PBE-GGA | relaxed

SG   I4_1/amd (141)
ΔE to the lowest computed polymorph   0 meV per atom
Magnetization   0.00 μB/f.u.
Uncorrected formation energy   1.5 eV per formula unit
Final energy   -3.771 eV per atom

```
CsLaSi2
1.0
5.3541 0.0000 0.0000
0.0000 5.3541 0.0000
0.0000 0.0000 21.0975
Cs La Si
4 4 8
Direct
0.0000 0.2500 0.3750
0.0000 0.7500 0.6250
0.5000 0.2500 0.1250
0.5000 0.7500 0.8750
0.0000 0.2500 0.8750
0.0000 0.7500 0.1250
0.5000 0.2500 0.6250
0.5000 0.7500 0.3750
0.0000 0.0000 0.0000
0.0000 0.5000 0.0000
0.2500 0.2500 0.7500
0.2500 0.7500 0.2500
0.5000 0.0000 0.5000
0.5000 0.5000 0.5000
0.7500 0.2500 0.7500
0.7500 0.7500 0.2500
```
~~~
The page goes on.
Good night.
Here’s hoping tomorrow goes better than today.
thinks i email them